Maine has 108 small towns, and the pride in these scattered, spaced communities is fierce.
But as the economic realities hit home and change does not happen to react or respond to them, the community flywheel of industry and commerce slows. Strained because what adjustments could be done are not. And red ink bleeding out, white flags being waved madly are missed. Cues to do this, this and oh yeah that come and go without attention can kill a small Maine town.
In industry around the world, automation is the word for today’s economy. It’s the buzz word. Lean, mean, just in time inventory but still a big selection offered and without slack or business operation waste. How to adapt, to stay in business is the order of the day. What took three men to do not many years ago can be done by one or none with the right machine, software. How we do the business, provide the service evolves too. The taste of the consumer changes.
Fail to adapt and rut rho. One less Maine business happens.
Or sometimes farming out the job, putting it out for bid to the private sector is in town government’s better route to go in a small Maine burg. Unless no bidders. Then that backfires. Like with winter plowing snow contracts. $5000 a mile can be the one and only bidder when the true cost is $3800 to return a tidy profit. Return on time and expenses, the ROI needs constant monitoring in everything you and I do. Whether in the business of small Maine towns or out in the private sector.
When a Maine town department head retires, instead of replacing him paying the second in command a little more could often work. The guy or gal who usually is doing most of the heavy lifting day to day is who should be tapped on the shoulder. To step up. Compensated a little more in the weekly pay envelope.
Tightening up a top heavy town government with a template that worked twenty years ago that now is a luxury no longer affordable.
~~~
This entry pairs a crystal structure of Mg3Tl2Pb3 with its computed XRD peak list. Radiation: Cu Kα X-rays. Structure: the PBE geometry in Alexandria.
No peak broadening, texture or thermal motion is included.

Crystal structure
a b c (Å): 4.355 5.070 19.866
angles (deg): 90.00 90.00 90.00
Space group Immm (No. 71)
Inequivalent atoms, fractional coordinates:
Mg1 0.000 0.000 0.000 [2 per cell]
Mg2 0.000 0.500 0.122 [4 per cell]
Tl1 0.000 0.000 0.253 [4 per cell]
Pb1 0.000 0.000 0.500 [2 per cell]
Pb2 0.000 0.500 0.379 [4 per cell]

Top 8 peaks for 2θ from 15° to 90°, most intense first:
d = 2.751 Å, rel. 1000, hkl 1 1 4
d = 4.254 Å, rel. 246, hkl 1 0 1
d = 2.178 Å, rel. 221, hkl 2 0 0
d = 2.535 Å, rel. 202, hkl 0 2 0
d = 3.129 Å, rel. 195, hkl 0 1 5
d = 2.483 Å, rel. 185, hkl 0 0 8
d = 1.502 Å, rel. 164, hkl 1 3 4
d = 4.025 Å, rel. 159, hkl 0 1 3

This entry pairs a crystal structure of YTm2H8 with its computed XRD peak list. Radiation: Cu Kα X-rays. Structure: the PBE geometry in Alexandria.
No peak broadening, texture or thermal motion is included.

Crystal structure
a b c (Å): 3.584 5.085 10.748
angles (deg): 90.00 90.00 90.00
Space group Immm (No. 71)
Inequivalent atoms, fractional coordinates:
Y1 0.000 0.000 0.000 [2 per cell]
Tm1 0.000 0.000 0.331 [4 per cell]
H1 0.000 0.224 0.500 [4 per cell]
H2 0.000 0.263 0.163 [8 per cell]
H3 0.000 0.500 0.342 [4 per cell]

Top 8 peaks for 2θ from 15° to 90°, most intense first:
d = 2.929 Å, rel. 1000, hkl 1 1 0
d = 2.534 Å, rel. 332, hkl 1 0 3
d = 1.794 Å, rel. 315, hkl 2 0 0
d = 1.528 Å, rel. 286, hkl 2 1 3
d = 2.543 Å, rel. 168, hkl 0 2 0
d = 1.532 Å, rel. 144, hkl 1 3 0
d = 1.465 Å, rel. 123, hkl 2 2 0
d = 1.164 Å, rel. 118, hkl 2 3 3

This entry pairs a crystal structure of TmRhO4 with its computed XRD peak list. Radiation: Cu Kα X-rays. Structure: the PBE geometry in Alexandria.
No peak broadening, texture or thermal motion is included.

Crystal structure
a b c (Å): 10.938 5.155 5.282
angles (deg): 90.00 110.52 90.00
Space group C2/c (No. 15)
Inequivalent atoms, fractional coordinates:
Tm1 0.000 0.226 0.250 [4 per cell]
Rh1 0.250 0.250 0.000 [4 per cell]
O1 0.096 0.421 0.963 [8 per cell]
O2 0.155 0.041 0.646 [8 per cell]

Top 8 peaks for 2θ from 15° to 90°, most intense first:
d = 3.133 Å, rel. 1000, hkl 1 1 1
d = 2.854 Å, rel. 757, hkl 3 1 -1
d = 1.817 Å, rel. 252, hkl 4 2 0
d = 2.615 Å, rel. 251, hkl 2 0 -2
d = 1.836 Å, rel. 249, hkl 2 2 -2
d = 2.561 Å, rel. 201, hkl 4 0 0
d = 2.577 Å, rel. 194, hkl 0 2 0
d = 1.636 Å, rel. 173, hkl 1 1 -3

This entry pairs a crystal structure of ThGeP with its computed XRD peak list. Radiation: Cu Kα X-rays. Structure: the PBE geometry in Alexandria.
No peak broadening, texture or thermal motion is included.

Crystal structure
a b c (Å): 8.777 8.777 3.723
angles (deg): 90.00 90.00 90.00
Space group P4_2/m (No. 84)
Inequivalent atoms, fractional coordinates:
Th1 0.115 0.686 0.000 [4 per cell]
Ge1 0.324 0.400 0.000 [4 per cell]
P1 0.134 0.403 0.500 [4 per cell]
~~~
Or sometimes pulling back in the number of cars parked out back the local government facility is needed. With too many middle management employees. Everyone has a vehicle, other benefits the Maine town no longer can afford to offer. That’s a place to weed for the long term survival of the small Maine town. We have quality of life in Maine. But the quarters for the life jukebox year round to keep it going is at stake.
So getting on the horn with Maine state representatives, speaking loudly to say whoa, ease up on all the new fees, laws on top of legislation that just strangle small town residents. And the small Maine businesses in them that you don’t want to lose.
But will if suddenly the employers say, that’s it. We’re forced to close our doors and go elsewhere to another area of the state, country, the world or solar system where the environment to do business is healthier. Where we are appreciated. Embrace current industry rather than chasing new ones is the easiest return on economic development. Retention is key.
So is sometimes as simple as instituting new heating temperature standards, routines. Because of the extremely high cost of heating oil when you live in Maine and are so dependent on it. When energy use at your home is eyeballed like an eagle. But it’s not so intensely important on a municipal levels with all those buildings, facilities, buses, cruisers, plows, etc paid for from handsomely with deep digging in the general fund, not an individual’s wallet. Where the individual says ouch.
Looking for areas of duplication in services and getting insulated players together on the same dug out bench. To chill in one group. To brainstorm and talk about what if we do this, or that. Would it be better now and in the long run for the small Maine town batted around. The small Maine town that has to be careful or it will cease to exist. And everyone gets the memo, last one out, remember to shut off the lights.
Small business in Maine has a hard time for the leg up to success, even survival because of the lack of sheer volume needed to turn a profit.
Customers leave a small Maine town for goods and services that are offered significantly cheaper elsewhere. Even with high cost gas, transportation, if what the small Maine business has to spend to stay in the community is too steep, sales drop off sharply.
Rising expenses to do business in a Maine small town means anything the state, county and local municipality can do to ease the tug at the wallet is key to survival. Of the small Maine business, of the community’s schools, public safety, everything that goes on in the inner workings of the community. Going things the same old way we always did is one nail in the coffin of a small Maine town.
Maintaining population is key in a small Maine town. And growth, increasing the number of folks pushing shopping carts, paying local property taxes, serving on local boards, enrolling their kids in the local schools all enhance the overall economic health. But cutting costs, increasing revenue will help those elderly folks on very small fixed incomes that are barely hanging on.
The Maine small town community spirit increases when a local business can expand. Renovate and add on to the service, product produced or distributed in the small Maine town. If belt tightening in spending in a small Maine town happens like you and I do in our own households when the funds are tight, the adjustment is easier to swallow. Than when do or die up against a wall happens because Mr. Overspending meets Mr. Empty Checkbook.
Creating revenue streams in a small Maine town takes brainstorming and working together to see what is not available locally and asking how come? And talking to local business and community leaders to see their ideas are part of the direction the small Maine town is headed. And regionally every small Maine town knows their role in the grand scheme of how each community rolls. The part they play in keeping a small Maine town vibrant, unique and a place for young folks to consider living, working, playing in. Maintaining the option of where to live the current population enjoys, wants to see continue.
I’m Maine REALTOR Andrew Mooers, ME Broker